As part of a wider drive to assert Islamic values at Iran’s colleges, the minister in charge of higher education has said male and female students must be taught separately when classes begin again in September.
But in a message on his website, Ahmadinejad said the policy must be stopped.
“It has been heard that in some universities, classes and disciplines are being segregated without considering the coincidences,” he said on the website
“Urgent action is required to prevent these superficial and non-scholarly actions.”
YPuMg2Hg4 | PBE | relaxed

Computed properties:
Volume = 188.9 Å³ per cell
DFT formation energy = -0.338 eV/atom

Cell lengths 5.107, 5.107, 8.868 Å; angles 73.26, 73.26, 60.00 degrees
Positions (direct):
Hg 0.624 0.624 0.129
Hg 0.376 0.376 0.871
Hg 0.874 0.874 0.377
Hg 0.126 0.126 0.623
Mg 0.750 0.750 0.750
Mg 0.250 0.250 0.250
Pu 0.000 0.000 0.000
Y 0.500 0.500 0.500

~~~~~

# BeIn2Os PBE optimized geometry
# * space group: No. 122
# * calculated volume: 144 Å³/cell
# * energy of formation from the pure elements: 924 meV per atom
# * total energy: -0.154 Ha/atom
# * D(E_F): 4.12 states/eV/f.u.
data_BeIn2Os
_cell_length_a 7.353
_cell_length_b 7.353
_cell_length_c 5.838
_cell_angle_alpha 50.97
_cell_angle_beta 50.97
_cell_angle_gamma 90.00
_space_group_name_H-M_alt 'P 1'
_space_group_IT_number 1
loop_
_space_group_symop_operation_xyz
'x,y,z'
loop_
_atom_site_label
_atom_site_fract_x
_atom_site_fract_y
_atom_site_fract_z
Os1 0.750 0.250 0.500
Os2 0.000 0.000 0.000
Be1 0.250 0.750 0.500
Be2 0.500 0.500 0.000
In1 0.153 0.625 0.250
In2 0.875 0.847 0.750
In3 0.375 0.403 0.750
In4 0.597 0.125 0.250

# Sr3Sb4Pd2 PBE optimized geometry
# * space group: No. 12
# * calculated volume: 252 Å³/cell
# * total energy: -0.160 Ha/atom
# * D(E_F): 3.69 states/eV/f.u.
data_Sr3Sb4Pd2
_cell_length_a 4.747
_cell_length_b 6.458
_cell_length_c 9.088
_cell_angle_alpha 102.37
_cell_angle_beta 90.00
_cell_angle_gamma 111.56
_space_group_name_H-M_alt 'P 1'
_space_group_IT_number 1
loop_
_space_group_symop_operation_xyz
'x,y,z'
loop_
_atom_site_label
_atom_site_fract_x
_atom_site_fract_y
_atom_site_fract_z
Sr1 0.381 0.762 0.303
Sr2 0.000 0.000 0.000
Sr3 0.619 0.238 0.697
Sb1 0.909 0.818 0.607
Sb2 0.091 0.182 0.393
Sb3 0.292 0.583 0.911
Sb4 0.708 0.417 0.089
Pd1 0.705 0.410 0.393
Pd2 0.295 0.590 0.607

# Pm2Sm3Tl6 PBE optimized geometry
# * space group: No. 139
# * calculated volume: 407 Å³/cell
# * energy of formation from the pure elements: 86 meV per atom
# * total energy: -0.123 Ha/atom
# * D(E_F): 14.09 states/eV/f.u.
data_Pm2Sm3Tl6
_cell_length_a 5.988
_cell_length_b 5.988
_cell_length_c 12.115
_cell_angle_alpha 104.31
_cell_angle_beta 104.31
_cell_angle_gamma 90.00
_space_group_name_H-M_alt 'P 1'
_space_group_IT_number 1
loop_
_space_group_symop_operation_xyz
'x,y,z'
loop_
_atom_site_label
_atom_site_fract_x
_atom_site_fract_y
_atom_site_fract_z
Sm1 0.857 0.857 0.714
Sm2 0.143 0.143 0.286
Sm3 0.000 0.000 0.000
Tl1 0.282 0.282 0.564
Tl2 0.429 0.929 0.857
Tl3 0.718 0.718 0.436
Tl4 0.071 0.571 0.143
Tl5 0.929 0.429 0.857
Tl6 0.571 0.071 0.143
Pm1 0.578 0.578 0.157
Pm2 0.422 0.422 0.843

# Ba2BiBr8 PBE optimized geometry
# * space group: No. 12
# * calculated volume: 386 Å³/cell
# * total energy: -0.120 Ha/atom
# * D(E_F): 3.72 states/eV/f.u.
data_Ba2BiBr8
_cell_length_a 5.134
_cell_length_b 6.622
_cell_length_c 12.058
_cell_angle_alpha 105.13
_cell_angle_beta 102.29
_cell_angle_gamma 90.00
_space_group_name_H-M_alt 'P 1'
_space_group_IT_number 1
loop_
Ahmadinejad’s opposition to sex segregation will further alienate his conservative and religious critics who have become increasingly outspoken against him and his circle of advisers they say belong to a “deviant current” that puts secular nationalism ahead of Islam, posing a potential threat to Iran’s clerical rule.
Seen as an extreme hard-liner by many in the West due to his comments against Israel and Iran’s refusal to curb its nuclear program, at home the populist Ahmadinejad is outflanked on the right by ultra-conservatives who consider he has not adhered closely enough to the values of the Islamic Revolution.
Science Research and Technology Minister Kamran Daneshjou has said Iran will separate sexes at universities from the start of term on Sept. 23.
“Following the implementation of the Hijab (Islamic dress) and Chastity Plan, university classes will be separated. If there is not the facility to separate the classes, students will sit in separate rows,” he said, according to IRAN daily.
More than half of Iran’s 3.7 million students are women, studying alongside their male classmates, and education has become a focus for conservatives who want to head off what they consider corrosive western values among the youth born long after the 1979 Islamic revolution.
On the instruction of Supreme Leader Ayatollah Ali Khamenei, Iran is already reviewing the curricula of certain subjects deemed too Western, including law, philosophy, psychology and political sciences, to ensure they do not run counter to Islamic teachings.
Ahmad Khatami, an influential conservative cleric who regularly leads Friday prayers in Tehran, came out in favor of segregation.
“With what logic should a head of a Tehran university be reprimanded for separating the classes of women and men? We should give him a medal.”
In a television interview last year, Ahmadinejad said women who fail to cover their hair completely in public should not be harassed by the police.
Nevertheless, the enforcement of the Islamic dress code has been stricter since his election in 2005, with ‘morality police’ staging annual crackdowns against women dressed too immodestly.
His chief of staff, Esfandiar Rahim-Mashaie, the main target of opponents of the so-called “deviant current,” has publicly stated that women still face “oppression” in Iran.
Khamenei has called the infighting between rival factions of the ruling elite ahead of parliamentary election a propaganda gift to Iran’s foreign enemies.